• Entries:
+++
# 1
DFT (the ωB97M-V functional and the def2-TZVPD basis) results for C28H33MnN5O6SSeSi as an isolated structure.

Structure (XYZ):
```
76
Properties=species:S:1:pos:R:3:mulliken_charge:R:1
Mn 0.309 0.753 -0.115 1.117
C 2.763 0.189 -2.239 -1.582
C 3.212 0.428 -0.832 0.689
C 4.595 0.529 -0.564 -0.996
C 5.037 0.731 0.705 -1.109
C 4.110 0.764 1.771 1.069
C 4.502 0.881 3.123 -0.981
C 3.562 0.820 4.113 -0.778
C 2.207 0.621 3.792 -0.621
C 1.796 0.528 2.487 1.054
S 0.106 0.228 2.086 -0.731
C 2.751 0.630 1.448 -0.517
N 2.325 0.527 0.143 1.342
H 3.551 -0.322 -2.792 0.613
H 2.542 1.140 -2.719 0.236
H 1.851 -0.407 -2.264 0.002
H 5.284 0.459 -1.394 0.548
H 6.094 0.834 0.918 0.419
H 5.552 1.006 3.352 0.432
H 3.855 0.907 5.150 0.409
H 1.473 0.534 4.583 0.477
N -0.848 -0.226 -2.773 -0.210
C -2.268 -0.140 -2.478 -0.144
C -3.098 0.754 -3.422 -0.929
C -2.609 2.199 -3.591 -1.232
C -2.509 3.031 -2.315 0.568
N -3.795 3.130 -1.626 -0.009
C -3.940 3.042 -0.309 0.576
N -5.200 2.809 0.165 -0.592
N -2.943 3.245 0.522 -0.190
C -2.555 0.235 -1.019 0.416
O -3.723 0.299 -0.656 -0.768
O -1.568 0.484 -0.228 -0.006
H -0.430 0.694 -2.883 0.083
H -0.690 -0.761 -3.617 0.291
H -2.683 -1.149 -2.559 0.496
H -4.128 0.737 -3.060 0.334
H -3.109 0.278 -4.407 0.506
H -3.265 2.705 -4.307 0.431
H -1.614 2.210 -4.041 0.368
H -2.115 4.023 -2.529 0.471
H -1.800 2.561 -1.635 -1.069
H -4.634 3.020 -2.172 0.320
H -5.671 2.073 -0.342 0.251
H -5.245 2.646 1.159 0.259
H -1.946 3.380 0.247 0.240
H -3.065 2.935 1.471 0.243
O 2.270 3.642 -0.502 -0.664
Se 0.755 3.494 -1.018 0.982
O -0.296 3.303 0.253 -0.927
O 0.593 1.900 -1.658 -0.662
O 0.256 4.514 -2.152 -0.682
C -3.841 -3.750 0.995 -0.460
C -3.081 -3.982 -0.141 -0.659
C -1.848 -3.361 -0.287 -0.372
C -1.346 -2.503 0.696 0.417
C -2.128 -2.280 1.831 -0.084
C -3.360 -2.897 1.980 -0.786
Si 0.323 -1.750 0.334 0.759
C 1.786 -2.473 1.245 0.289
C 2.952 -2.743 0.526 -0.421
C 4.092 -3.218 1.161 -0.695
C 4.075 -3.446 2.529 -0.529
C 2.916 -3.207 3.256 -0.671
C 1.785 -2.721 2.619 -0.152
H -4.805 -4.226 1.113 0.389
H -3.448 -4.644 -0.916 0.406
H -1.268 -3.546 -1.184 0.381
H -1.779 -1.611 2.608 0.338
H -3.951 -2.708 2.867 0.412
H 0.607 -2.063 -1.092 -0.410
H 2.970 -2.575 -0.546 0.380
H 4.990 -3.410 0.588 0.428
H 4.962 -3.816 3.028 0.406
H 2.899 -3.393 4.323 0.404
H 0.891 -2.518 3.198 0.388
```

LUMO energy (alpha / beta) ... -0.597 / -0.394 eV
<S²> ... 3.984
Spin multiplicity ... 4
Relative energy (zero: lowest compared OMol25 entry of this formula, charge and spin) ... 79.0 kJ/mol
Total charge ... 0

# 2
DFT (the ωB97M-V functional and the def2-TZVPD basis) results for C40H47N6OPtS2 as an isolated structure.

Structure (XYZ):
```
97
Properties=species:S:1:pos:R:3:mulliken_charge:R:1
Pt 1.701 0.834 -0.800 3.715
C -3.466 1.094 4.162 -1.632
C -2.614 -0.113 3.728 1.979
C -2.716 -1.219 4.791 -1.765
C -3.175 -0.677 2.427 -1.709
C -1.158 0.340 3.598 -0.131
C -0.505 0.779 4.767 -0.442
C 0.823 1.116 4.772 -1.384
C 1.513 1.057 3.564 1.301
S 3.215 1.284 3.363 -0.367
C 3.041 0.989 1.710 0.839
N 1.810 0.785 1.279 1.116
C 0.882 0.734 2.360 -1.452
C -0.465 0.339 2.394 0.146
C 4.124 0.879 0.760 0.916
C 5.472 0.927 1.110 -0.427
C 6.441 0.729 0.146 -1.138
C 6.057 0.484 -1.164 -0.938
C 4.710 0.457 -1.523 -0.413
C 3.735 0.659 -0.563 -0.628
H -4.524 0.840 4.104 0.455
H -3.287 1.963 3.523 0.255
H -3.256 1.387 5.191 0.419
H -3.765 -1.452 4.974 0.473
H -2.275 -0.927 5.743 0.389
H -2.217 -2.131 4.456 0.397
H -4.173 -1.078 2.606 0.648
H -2.552 -1.490 2.064 0.279
H -3.268 0.072 1.641 0.092
H -1.050 0.818 5.700 0.537
H 1.329 1.396 5.686 0.473
H -0.948 0.018 1.488 0.282
H 5.757 1.110 2.139 0.528
H 7.488 0.759 0.411 0.468
H 6.809 0.321 -1.925 0.519
H 4.487 0.307 -2.560 0.178
C 0.026 0.700 -3.304 -1.166
N 1.462 0.831 -2.923 -0.425
C 2.127 -0.291 -3.645 -0.822
C 1.981 2.150 -3.387 -0.784
C 1.539 3.233 -2.427 -0.710
N 2.070 2.955 -1.059 -0.614
C 3.494 3.417 -1.025 -1.294
C 1.380 3.784 -0.035 -0.870
H -0.030 0.610 -4.389 0.467
H -0.539 1.575 -3.009 0.441
+++

• Activity:
Set down the calculation results above from the first line to the one with "0.323 -1.750" word for word.

• Response:
# 1
DFT (the ωB97M-V functional and the def2-TZVPD basis) results for C28H33MnN5O6SSeSi as an isolated structure.

Structure (XYZ):
```
76
Properties=species:S:1:pos:R:3:mulliken_charge:R:1
Mn 0.309 0.753 -0.115 1.117
C 2.763 0.189 -2.239 -1.582
C 3.212 0.428 -0.832 0.689
C 4.595 0.529 -0.564 -0.996
C 5.037 0.731 0.705 -1.109
C 4.110 0.764 1.771 1.069
C 4.502 0.881 3.123 -0.981
C 3.562 0.820 4.113 -0.778
C 2.207 0.621 3.792 -0.621
C 1.796 0.528 2.487 1.054
S 0.106 0.228 2.086 -0.731
C 2.751 0.630 1.448 -0.517
N 2.325 0.527 0.143 1.342
H 3.551 -0.322 -2.792 0.613
H 2.542 1.140 -2.719 0.236
H 1.851 -0.407 -2.264 0.002
H 5.284 0.459 -1.394 0.548
H 6.094 0.834 0.918 0.419
H 5.552 1.006 3.352 0.432
H 3.855 0.907 5.150 0.409
H 1.473 0.534 4.583 0.477
N -0.848 -0.226 -2.773 -0.210
C -2.268 -0.140 -2.478 -0.144
C -3.098 0.754 -3.422 -0.929
C -2.609 2.199 -3.591 -1.232
C -2.509 3.031 -2.315 0.568
N -3.795 3.130 -1.626 -0.009
C -3.940 3.042 -0.309 0.576
N -5.200 2.809 0.165 -0.592
N -2.943 3.245 0.522 -0.190
C -2.555 0.235 -1.019 0.416
O -3.723 0.299 -0.656 -0.768
O -1.568 0.484 -0.228 -0.006
H -0.430 0.694 -2.883 0.083
H -0.690 -0.761 -3.617 0.291
H -2.683 -1.149 -2.559 0.496
H -4.128 0.737 -3.060 0.334
H -3.109 0.278 -4.407 0.506
H -3.265 2.705 -4.307 0.431
H -1.614 2.210 -4.041 0.368
H -2.115 4.023 -2.529 0.471
H -1.800 2.561 -1.635 -1.069
H -4.634 3.020 -2.172 0.320
H -5.671 2.073 -0.342 0.251
H -5.245 2.646 1.159 0.259
H -1.946 3.380 0.247 0.240
H -3.065 2.935 1.471 0.243
O 2.270 3.642 -0.502 -0.664
Se 0.755 3.494 -1.018 0.982
O -0.296 3.303 0.253 -0.927
O 0.593 1.900 -1.658 -0.662
O 0.256 4.514 -2.152 -0.682
C -3.841 -3.750 0.995 -0.460
C -3.081 -3.982 -0.141 -0.659
C -1.848 -3.361 -0.287 -0.372
C -1.346 -2.503 0.696 0.417
C -2.128 -2.280 1.831 -0.084
C -3.360 -2.897 1.980 -0.786
Si 0.323 -1.750 0.334 0.759